== Request ==
Work out how many lines further down have the word "ESPRESSO" in them; a number is enough, please.

== Material ==
-- begin --
Below is a geometry-optimized BaP2Ru structure, with properties calculated at the PBE level. Values from VASP.

Geometry as Quantum ESPRESSO input:
```
&SYSTEM
  ibrav = 0, nat = 4, ntyp = 3
/
ATOMIC_SPECIES
P 30.97 P.upf
Ba 137.33 Ba.upf
Ru 101.07 Ru.upf
ATOMIC_POSITIONS crystal
P 0.218 0.218 0.369
P 0.951 0.951 0.109
Ba 0.761 0.761 0.736
Ru 0.570 0.570 0.286
CELL_PARAMETERS angstrom
4.013 -0.355 0.419
2.471 3.183 0.419
1.560 0.680 6.503
```

Computed properties:
Electronic total energy, eV per atom: -6.057
Formation enthalpy at 0 K, kJ/mol of formula units: -213
Total magnetization, μB/f.u.: 0.000

=====

VASP calculation (PBE-GGA) on crystalline MoAsW2 at its relaxed geometry.

energy relative to the elements: 233 meV/atom
volume: 15.873 Å³/atom
N(E_F): 4.10 states/eV/cell

abc: 3.193 3.193 6.229
angles: 90.00 90.00 90.00
Fractional coordinates of all 4 atoms:
1 W 0.000 0.000 0.993
2 W 0.500 0.500 0.260
3 As 0.000 0.000 0.492
4 Mo 0.500 0.500 0.754

=====

VASP calculation (PBE-GGA) on crystalline MoAsW2 at its relaxed geometry.

energy relative to the elements: 751 meV/atom
volume: 17.147 Å³/atom
N(E_F): 8.64 states/eV/cell

abc: 3.823 3.823 9.769
angles: 78.72 78.72 90.00
Fractional coordinates of all 8 atoms:
1 Mo 0.000 0.000 0.000
2 Mo 0.750 0.250 0.500
3 As 0.500 0.500 0.000
4 As 0.250 0.750 0.500
5 W 0.150 0.625 0.250
6 W 0.875 0.850 0.750
7 W 0.600 0.125 0.250
8 W 0.375 0.400 0.750

=====

VASP calculation (PBE-GGA) on crystalline MoAsW2 at its relaxed geometry.

energy relative to the elements: 448 meV/atom
volume: 15.978 Å³/atom
N(E_F): 2.73 states/eV/cell

abc: 4.571 3.739 3.739
angles: 90.00 90.00 90.00
Fractional coordinates of all 4 atoms:
1 W 0.000 0.000 0.000
2 W 0.000 0.500 0.500
3 As 0.500 0.500 0.000
4 Mo 0.500 0.000 0.500

=====

VASP calculation (PBE-GGA) on crystalline MoAsW2 at its relaxed geometry.

energy relative to the elements: 406 meV/atom
volume: 16.013 Å³/atom
N(E_F): 4.10 states/eV/cell

abc: 5.218 5.218 2.840
angles: 79.67 79.67 117.94
Fractional coordinates of all 4 atoms:
1 Mo 0.000 0.500 0.500
2 W 0.500 0.500 0.000
3 W 0.000 0.000 0.000
4 As 0.500 0.000 0.500
-- stop --

== Response ==
1